- Lawmakers pass increase to the death benefit for the families of fallen first responders from $100,000 to $250,000, with considerations for immediate funeral expenses.
Over the last two years more and more “black out” license plate tags have been popping up across roadways throughout the state of Mississippi.
The trend ramped up after the passage of Senate Bill 2841 in 2023, which allowed for the generic use of the tag without any additional custom letters or words. Prior to that, the blackout option was only accessible to “vanity” tags, those with customized slogans.
Since July of 2022 the state has sold more than 143,000 blackout car tags to citizens of the state. In the first three months of 2024 alone, 27,056 were purchased.
But who do these specialty plates benefit?
The black out plates cost an additional $38.25. The proceeds from these plates are sent to a fund for families of law enforcement officer and fire fighters that are killed in the line of duty.
The Law Enforcement Officers and Firefighters Death Benefits Trust Fund was established years ago, but in 2016 it was amended with the intent of providing more financial support to family members of these first responders. The amendment allowed eligible families to apply for nearly $100,000 for a covered individual in the event of their death.
This year’s legislation (SB 2487), would increase the death benefit up to $250,000, guaranteeing $150,000 for each family with an additional $25,000 per child (up to four children).
Senator Scott DeLano (R), author of this year’s bill, said the total amount in that account currently sits at $7.5 million.

“It is an unfortunate thing that we have to deal with on occasion when we have our first responders who are killed in the line of duty and their families are left to deal with the aftermath,” said Senator DeLano, author of the bill. “It’s time for us to be able to let our law enforcement and first responders know how important they are to us.”
For several years, Senator DeLano said he has worked to pass legislation that positively benefits first responders and their families. Long before his tenure at the Capitol, the coast lawmaker served as a police officer in Biloxi.
“Being a former law enforcement officer there are some things that never leave you,” said DeLano. “Some people say, you can put down the badge, but it will never leave you.”
/*
No. 1
Molecular formula: C46H55AsNO2RuSbSe4
Method: DFT, ωB97M-V/def2-TZVPD

## Properties
E_HOMO (spin up / spin down) = -9.9 / -10.6 eV
Kohn-Sham gap (spin up / spin down) = 6.7 / 5.1 eV
multiplicity = 6
<S²> = 8.793
total energy = -14167.5571 hartree
charge = +1

Geometry (Å):
C (-1.4923, -1.9628, 2.7809)
C (3.4053, 2.2589, 3.9696)
C (2.9643, 1.2544, 1.8283)
H (-2.1202, -4.7616, 4.7353)
H (0.8723, 2.4184, -5.6597)
H (-2.0679, 1.9679, 6.3594)
C (-0.7746, 0.6908, 2.2091)
H (-3.4861, -4.7638, 2.6867)
H (-2.9449, -3.8396, -1.3599)
C (5.0398, 4.4735, -0.8490)
N (-0.9045, 0.2931, -0.0936)
Se (-1.9329, 7.1863, -0.9092)
H (-4.8225, -2.1093, -1.4329)
H (0.4097, 0.4730, -6.8508)
H (3.5761, -0.7991, 1.6168)
H (-1.0041, -5.3675, 2.6854)
Se (0.7942, 4.4365, 0.0482)
C (-1.8942, -3.7057, 4.5848)
H (-0.7154, -0.7690, -6.3236)
H (-2.5209, 0.3512, 5.8107)
C (4.1140, 3.6884, -2.9256)
C (-2.5391, -1.5405, -2.8595)
C (-3.2177, -3.7269, 2.4767)
H (-3.7164, -4.7697, -2.6422)
H (4.3689, 0.9994, 5.4142)
H (1.2193, 0.5061, 5.2662)
C (-0.3080, 2.6386, 4.4790)
C (-1.0756, 0.2415, -3.7416)
C (-1.3424, -0.1647, -1.2979)
H (0.8497, -0.6039, -5.5197)
H (-1.4757, -2.2977, 0.6631)
H (-2.7099, -1.7167, -0.7338)
C (-0.7814, 1.2188, 4.7901)
H (3.3529, 3.1153, 4.6295)
H (-2.8898, 1.7648, 4.8097)
H (5.6968, 5.1407, -0.3068)
H (-4.4451, -3.7685, -4.7204)
H (3.8904, -3.5826, -2.4241)
C (-1.7428, 1.7044, -5.6357)
H (4.4512, -0.9611, 3.9099)
C (4.0182, -0.0306, 3.5666)
Ru (-0.0730, 2.1691, -0.1265)
H (-0.0529, -0.4014, 6.0974)
H (-0.7524, -4.2304, 1.3633)
C (4.9523, 4.5524, -2.2306)
C (1.8736, -1.2887, -0.9658)
H (-2.0421, -4.2316, -2.8304)
H (4.3713, 3.4747, 0.9249)
C (-1.9338, -0.8234, -3.9126)
C (-3.0233, -3.9505, -2.4431)
C (-2.2275, -1.2043, -1.5511)
C (4.4996, -1.6218, -1.8033)
H (-0.2027, 3.1777, 5.4228)
C (3.4483, 2.6751, -0.8481)
H (-3.2214, -3.5947, 1.3932)
C (-3.5338, -2.6661, -3.1162)
C (-0.9474, 0.3061, 3.5732)
H (2.7038, 2.0823, -2.7745)
H (-2.1835, -1.1112, -4.9219)
H (0.2159, -4.0962, 2.8367)
C (0.5458, 1.9994, -4.7067)
C (-4.8910, -2.2743, -2.5091)
As (2.2832, 1.4125, 0.0314)
C (-1.0606, -0.2568, 1.1475)
C (-0.5567, 0.9738, -4.9838)
C (-0.8028, 0.6145, -2.3966)
C (-3.7335, -2.9506, -4.6056)
H (-2.8029, -3.2525, -5.0903)
H (-3.9883, -3.0812, 2.9012)
C (3.3614, 2.7537, -2.2355)
H (1.4098, 1.5277, -4.2364)
H (4.0446, 3.7448, -4.0042)
C (-1.3095, -1.0076, 3.7933)
H (5.5394, 5.2852, -2.7682)
H (0.8548, -1.1722, -0.6269)
H (-1.4452, -1.3248, 4.8157)
C (-1.3662, -1.5684, 1.4506)
O (-0.0825, 1.6470, -2.0781)
H (0.2094, 2.8178, -4.0724)
H (-1.0216, 3.1829, 3.8647)
H (-4.1413, -2.0864, -5.1334)
H (2.4204, 3.2713, 2.3581)
H (-1.4061, 2.2296, -6.5312)
C (2.7879, -0.2535, -0.8075)
C (2.2702, -2.4849, -1.5480)
H (4.8250, 0.3767, -1.1064)
H (-2.1706, 2.4394, -4.9506)
C (3.9709, 1.0696, 4.4102)
C (3.5811, -2.6508, -1.9686)
C (4.2858, 3.5368, -0.1528)
H (-5.2744, -1.3616, -2.9688)
C (0.2434, 0.5886, 5.7502)
C (-0.7785, -4.3262, 2.4499)
C (3.5196, 0.0591, 2.2740)
*/
Often, there is a delay in how these payments are disbursed which can cause an undue hardship on the families of those first responders. Considering that, DeLano said the bill will authorize the Mississippi Department of Public Safety (DPS) to write a check for $15,000 to the family’s chosen funeral home, to help with burial expenses immediately.
The conference report also outlines that a minimum of $4 million must always remain in the account. In the event of a surplus, the Commissioner of DPS will have the authority to set up a grant fund in conjunction with the State Fire Chief for safety equipment for local communities.
_Someone pasted calculated molecules at this point_
<<<
[1]
This record from OMol25 describes the molecule C4H6N2O at a distorted geometry. The level of theory is ωB97M-V/def2-TZVPD.

Element x y z (Å)
H: -2.47500 1.64443 -0.92430
N: -2.12493 0.68765 -0.97632
C: -1.62576 0.37094 0.13381
O: -1.11953 -0.87355 0.37250
C: 0.17803 -1.13729 -0.13020
C: 1.24960 -0.25519 0.55938
C: 1.79212 0.79668 -0.30497
N: 2.23358 1.60881 -1.00015
H: -1.57371 1.01533 1.01954
H: 0.20804 -1.01375 -1.21848
H: 0.36185 -2.18632 0.10869
H: 0.80898 0.20763 1.44883
H: 2.08673 -0.86538 0.91167

Computed properties:
- structure (SMILES) = [H]/N=C/OCCC#N
- Kohn-Sham gap (eV) = 11.42
- HOMO energy (eV) = -10.759
- net charge = 0
- lowest unoccupied orbital energy (Eh) = 0.0242
- relative energy (zero: lowest compared OMol25 entry of this formula, charge and spin) (kcal per mole) = 43.53

=====

[2]
This record from OMol25 describes a 2-piece molecular cluster, C4H6N2O overall at a distorted geometry. The level of theory is ωB97M-V/def2-TZVPD.

Element x y z (Å)
C: -0.24282 0.05658 -0.24333
C: 3.06902 0.14641 0.14574
C: 0.65156 -0.15812 -1.14721
C: -1.22444 0.84036 0.47154
N: 0.38409 -1.30676 -0.15685
N: 2.68618 -0.70878 0.86514
O: 3.64977 0.91452 -0.51768
H: 0.96913 -0.17770 -2.15590
H: -0.87136 1.88549 0.49030
H: -1.21245 0.44134 1.50905
H: -2.24085 0.78240 0.07690
H: -0.41588 -1.93002 -0.41885
H: 1.65371 -1.09383 0.92007

Computed properties:
- spin multiplicity = 3
- Kohn-Sham gap (spin up / spin down) (eV) = 6.69 / 8.07
- HOMO energy (spin up / spin down) (eV) = -5.937 / -10.137
- net charge = 0
- lowest unoccupied orbital energy (spin up / spin down) (Eh) = 0.0277 / -0.0761
- relative energy (zero: lowest compared OMol25 entry of this formula, charge and spin) (kcal per mole) = 51.46

=====

[3]
This record from OMol25 describes a 2-piece molecular cluster, C4H6N2O2 overall at a distorted geometry. The level of theory is ωB97M-V/def2-TZVPD.

Element x y z (Å)
C: 2.25222 0.85977 -0.32569
C: 1.68538 -0.46197 0.13687
O: 2.34793 -1.40870 0.46063
N: 0.29322 -0.49700 0.23644
C: -0.54849 0.40279 0.22952
N: -1.23666 1.38562 0.23374
H: 3.33445 0.79466 -0.39433
H: 1.83771 1.11939 -1.29899
H: 1.98493 1.65034 0.37341
H: -2.15414 1.54507 -0.13924
C: -2.49214 -1.38050 0.12499
O: -2.90223 -0.93353 -0.90740
H: -1.48892 -1.98213 0.16272
H: -2.91326 -1.09381 1.10733

Computed properties:
- structure (SMILES) = CC(=O)N=C=N.C=O
- Kohn-Sham gap (eV) = 10.49
- HOMO energy (eV) = -10.159
- net charge = 0
- lowest unoccupied orbital energy (Eh) = 0.0121
- relative energy (zero: lowest compared OMol25 entry of this formula, charge and spin) (kcal per mole) = 57.64

=====

[4]
This record from OMol25 describes the molecule C4H6N2O2 at a distorted geometry. The level of theory is ωB97M-V/def2-TZVPD.

Element x y z (Å)
H: 2.62175 0.80301 0.67620
N: 2.04213 0.22995 1.33756
C: 0.87527 0.34683 0.73367
N: 0.71337 1.05475 -0.45188
O: -0.66509 1.33428 -0.89630
C: -1.49714 0.02820 -1.32361
C: -0.58700 -0.92031 -0.51912
O: -0.45881 -1.94721 0.56259
>>>
_So much for the calculated molecules_
The grant program will go to purchasing equipment that better helps protect officers across Mississippi.
“Our first responders courageously put on their uniforms each day, selflessly safeguarding us without the certainty of returning home. They run towards danger, while others run away,” said DPS Commissioner Sean Tindell in a social media post. “Senate Bill 2487 stands to honor their sacrifices by increasing death benefits for line-of-duty deaths, assisting with funeral expenses, and establishing a grant program to enhance statewide training and safety measures.”

The popularity of the black out tags has been solely word of mouth. No advertising has been done, outside of information provided upon the purchase of one of these license plates.
DeLano said the tags are just one way people can show their support of law enforcement officers, fire fighters, and other first responders who serve our communities.